1.
A relaxed structure of K2MoRu, computed with PBE.

a b c (Å): 9.162 9.162 9.162
angles (deg): 93.67 93.67 150.70
Positions (direct):
K  0.375  0.048  0.173
K  0.798  0.625  0.673
K  0.875  0.202  0.827
K  0.952  0.125  0.327
Mo  0.250  0.750  0.500
Mo  0.500  0.500  0.000
Ru  0.000  0.000  0.000
Ru  0.750  0.250  0.500

DOS at the Fermi energy in states/eV per atom: 1.869
Energy of formation in meV per atom: 1402
Relative energy among the computed polymorphs in eV per formula unit: 2.68

***

2.
A relaxed structure of K2MoRu, computed with PBE.

a b c (Å): 12.109 12.109 12.109
angles (deg): 13.51 13.51 13.51
Positions (direct):
K  0.245  0.245  0.245
K  0.755  0.755  0.755
Mo  0.000  0.000  0.000
Ru  0.500  0.500  0.500

DOS at the Fermi energy in states/eV per atom: 1.049
Energy of formation in meV per atom: 1400
Relative energy among the computed polymorphs in eV per formula unit: 2.68

***

- What is the relative energy among the computed polymorphs in the first record?
  2.68 eV per formula unit

***

- Number 1 is which compound?
  K2MoRu

***

Copy entry 1 word for word.
A relaxed structure of K2MoRu, computed with PBE.

a b c (Å): 9.162 9.162 9.162
angles (deg): 93.67 93.67 150.70
Positions (direct):
K  0.375  0.048  0.173
K  0.798  0.625  0.673
K  0.875  0.202  0.827
K  0.952  0.125  0.327
Mo  0.250  0.750  0.500
Mo  0.500  0.500  0.000
Ru  0.000  0.000  0.000
Ru  0.750  0.250  0.500

DOS at the Fermi energy in states/eV per atom: 1.869
Energy of formation in meV per atom: 1402
Relative energy among the computed polymorphs in eV per formula unit: 2.68


A plane-wave DFT calculation with PBE-GGA was carried out for an optimized crystal structure of UHg2F11.

Cell lengths 7.5723, 11.0353, 11.8657 Å; angles 90.00, 90.00, 90.00 degrees
Closest atoms and distances in Å follow each position.
Space group Ibam (No. 72)
Symmetry-distinct sites (fractional):
U1 0.0000 0.0000 0.2500  8 F 2.07-2.21
Hg1 0.1501 0.3380 0.0000  5 F 2.10-2.34
F1 0.0000 0.5000 0.0000  2 Hg 2.12
F2 0.0846 0.1329 0.1391  1 U 2.07
F3 0.1356 0.2824 0.5000  2 Hg 2.10-2.25
F4 0.2332 0.0774 0.3356  1 U 2.21, 1 Hg 2.34

N(E_F) = 0.240 states/eV/atom
formation energy (no corrections) = -2.202 eV per atom
energy = -4.522 eV/atom


No. 1
This record from Alexandria via LeMat-Bulk describes AgSnBi2H after structural relaxation. The functional is GGA-PBE.

Unit cell a=5.907 b=5.907 c=5.236 alpha=90.00 beta=90.00 gamma=90.00
Space group P4/mmm (No. 123)
Inequivalent atoms, fractional coordinates:
Ag (0.000, 0.000, 0.000)
Sn (0.000, 0.000, 0.500)
Bi (0.000, 0.500, 0.500)
H (0.500, 0.500, 0.000)

Properties
The calculation puts the calculated volume at 182.7 Å³ per cell. The offset from the most stable computed form comes out at 0.836 eV/atom. For the total energy, the calculation gives -12.8 eV/f.u.

***

No. 2
This record from Alexandria via LeMat-Bulk describes TbTe2S6 after structural relaxation. The functional is GGA-PBE.

Unit cell a=7.895 b=8.012 c=8.968 alpha=72.42 beta=65.63 gamma=79.21
Space group P-1 (No. 2)
Inequivalent atoms, fractional coordinates:
Tb (0.183, 0.353, 0.153)
Te (0.137, 0.199, 0.676)
Te (0.363, 0.806, 0.339)
S (0.119, 0.396, 0.850)
S (0.129, 0.857, 0.599)
S (0.259, 0.008, 0.131)
S (0.272, 0.396, 0.408)
S (0.401, 0.999, 0.714)
S (0.430, 0.623, 0.015)

Properties
The calculation puts the calculated volume at 491.3 Å³ per cell. For the total energy, the calculation gives -39.2 eV/f.u. The uncorrected formation energy comes out at -3.47 eV/f.u.

***

No. 3
This record from Alexandria via LeMat-Bulk describes CaThGaRh after structural relaxation. The functional is GGA-PBE.

Unit cell a=7.173 b=7.173 c=7.173 alpha=90.00 beta=90.00 gamma=90.00
Space group F-43m (No. 216)
Inequivalent atoms, fractional coordinates:
Ca (0.000, 0.000, 0.000)
Th (0.000, 0.000, 0.500)
Ga (0.250, 0.250, 0.750)
Rh (0.250, 0.250, 0.250)

Properties
Your job: set down the whole of the contents above word for word.
1.
A relaxed structure of K2MoRu, computed with PBE.

a b c (Å): 9.162 9.162 9.162
angles (deg): 93.67 93.67 150.70
Positions (direct):
K  0.375  0.048  0.173
K  0.798  0.625  0.673
K  0.875  0.202  0.827
K  0.952  0.125  0.327
Mo  0.250  0.750  0.500
Mo  0.500  0.500  0.000
Ru  0.000  0.000  0.000
Ru  0.750  0.250  0.500

DOS at the Fermi energy in states/eV per atom: 1.869
Energy of formation in meV per atom: 1402
Relative energy among the computed polymorphs in eV per formula unit: 2.68

***

2.
A relaxed structure of K2MoRu, computed with PBE.

a b c (Å): 12.109 12.109 12.109
angles (deg): 13.51 13.51 13.51
Positions (direct):
K  0.245  0.245  0.245
K  0.755  0.755  0.755
Mo  0.000  0.000  0.000
Ru  0.500  0.500  0.500

DOS at the Fermi energy in states/eV per atom: 1.049
Energy of formation in meV per atom: 1400
Relative energy among the computed polymorphs in eV per formula unit: 2.68

***

- What is the relative energy among the computed polymorphs in the first record?
  2.68 eV per formula unit

***

- Number 1 is which compound?
  K2MoRu

***

Copy entry 1 word for word.
A relaxed structure of K2MoRu, computed with PBE.

a b c (Å): 9.162 9.162 9.162
angles (deg): 93.67 93.67 150.70
Positions (direct):
K  0.375  0.048  0.173
K  0.798  0.625  0.673
K  0.875  0.202  0.827
K  0.952  0.125  0.327
Mo  0.250  0.750  0.500
Mo  0.500  0.500  0.000
Ru  0.000  0.000  0.000
Ru  0.750  0.250  0.500

DOS at the Fermi energy in states/eV per atom: 1.869
Energy of formation in meV per atom: 1402
Relative energy among the computed polymorphs in eV per formula unit: 2.68


A plane-wave DFT calculation with PBE-GGA was carried out for an optimized crystal structure of UHg2F11.

Cell lengths 7.5723, 11.0353, 11.8657 Å; angles 90.00, 90.00, 90.00 degrees
Closest atoms and distances in Å follow each position.
Space group Ibam (No. 72)
Symmetry-distinct sites (fractional):
U1 0.0000 0.0000 0.2500  8 F 2.07-2.21
Hg1 0.1501 0.3380 0.0000  5 F 2.10-2.34
F1 0.0000 0.5000 0.0000  2 Hg 2.12
F2 0.0846 0.1329 0.1391  1 U 2.07
F3 0.1356 0.2824 0.5000  2 Hg 2.10-2.25
F4 0.2332 0.0774 0.3356  1 U 2.21, 1 Hg 2.34

N(E_F) = 0.240 states/eV/atom
formation energy (no corrections) = -2.202 eV per atom
energy = -4.522 eV/atom


No. 1
This record from Alexandria via LeMat-Bulk describes AgSnBi2H after structural relaxation. The functional is GGA-PBE.

Unit cell a=5.907 b=5.907 c=5.236 alpha=90.00 beta=90.00 gamma=90.00
Space group P4/mmm (No. 123)
Inequivalent atoms, fractional coordinates:
Ag (0.000, 0.000, 0.000)
Sn (0.000, 0.000, 0.500)
Bi (0.000, 0.500, 0.500)
H (0.500, 0.500, 0.000)

Properties
The calculation puts the calculated volume at 182.7 Å³ per cell. The offset from the most stable computed form comes out at 0.836 eV/atom. For the total energy, the calculation gives -12.8 eV/f.u.

***

No. 2
This record from Alexandria via LeMat-Bulk describes TbTe2S6 after structural relaxation. The functional is GGA-PBE.

Unit cell a=7.895 b=8.012 c=8.968 alpha=72.42 beta=65.63 gamma=79.21
Space group P-1 (No. 2)
Inequivalent atoms, fractional coordinates:
Tb (0.183, 0.353, 0.153)
Te (0.137, 0.199, 0.676)
Te (0.363, 0.806, 0.339)
S (0.119, 0.396, 0.850)
S (0.129, 0.857, 0.599)
S (0.259, 0.008, 0.131)
S (0.272, 0.396, 0.408)
S (0.401, 0.999, 0.714)
S (0.430, 0.623, 0.015)

Properties
The calculation puts the calculated volume at 491.3 Å³ per cell. For the total energy, the calculation gives -39.2 eV/f.u. The uncorrected formation energy comes out at -3.47 eV/f.u.

***

No. 3
This record from Alexandria via LeMat-Bulk describes CaThGaRh after structural relaxation. The functional is GGA-PBE.

Unit cell a=7.173 b=7.173 c=7.173 alpha=90.00 beta=90.00 gamma=90.00
Space group F-43m (No. 216)
Inequivalent atoms, fractional coordinates:
Ca (0.000, 0.000, 0.000)
Th (0.000, 0.000, 0.500)
Ga (0.250, 0.250, 0.750)
Rh (0.250, 0.250, 0.250)

Properties